Contents
+++
Entry from the Materials Project: Ti3Nb after structural relaxation (GGA-PBE).

Cell and atoms, written as extended XYZ:
```
8
Lattice="-5.787 -0.750 0.030 3.364 -3.109 3.616 -0.426 3.419 3.336" Properties=species:S:1:pos:R:3 pbc="T T T"
Ti -1.168 -2.240 3.870
Ti -2.899 -0.140 4.944
Ti 0.050 -0.301 2.038
Nb -0.006 0.242 4.923
Nb -2.843 -0.682 2.059
Ti -1.681 1.800 3.112
Ti -4.589 1.423 3.127
Ti 1.740 -1.863 3.855
```

Entry from the Materials Project: Mg14VGa after structural relaxation (GGA-PBE).

Cell and atoms, written as extended XYZ:
```
16
Lattice="6.271 0.000 0.000 -3.136 5.431 0.000 0.000 0.000 10.293" Properties=species:S:1:pos:R:3 pbc="T T T"
Mg 0.000 3.588 9.013
Mg 0.000 3.588 3.853
Mg 1.539 0.922 3.853
Mg 1.572 4.524 6.433
Mg 3.136 1.815 6.433
Mg 3.136 1.803 1.287
Mg 1.562 4.529 1.287
Mg -1.562 4.529 1.287
Mg -1.572 4.524 6.433
Mg 1.539 0.922 9.013
Ga 0.000 1.810 6.433
Mg 3.136 3.621 9.004
Mg 4.732 0.922 9.013
Mg 3.136 3.621 3.861
V 0.000 1.810 1.287
Mg 4.732 0.922 3.853
```

Entry from the Materials Project: Nd2H13C12O12 after structural relaxation (GGA-PBE).

Cell and atoms, written as extended XYZ:
```
78
Lattice="-2.436 -3.478 -6.052 -7.070 -4.881 5.651 -10.770 12.074 -2.604" Properties=species:S:1:pos:R:3 pbc="T T T"
O -16.136 6.577 -1.959
O -10.788 5.349 -2.162
O -7.216 0.685 -0.227
H -7.521 0.395 -4.291
H -9.279 -2.248 -3.762
C -7.474 4.668 -4.794
C -1.198 -0.219 -1.418
O -10.665 0.662 -0.445
H -10.523 3.293 0.523
O -11.756 -0.657 -3.213
H -15.771 3.426 -3.054
H -4.588 -4.471 -2.736
C -9.046 4.880 -6.184
C -4.563 -1.418 -0.210
C -5.006 -0.210 0.559
H -6.592 -4.820 -1.788
H -11.356 1.120 2.247
H -8.812 -0.363 2.157
C -1.763 -0.904 -2.683
H -8.551 3.597 -0.505
O -2.678 1.706 -0.758
H -14.472 5.218 -0.284
C -6.207 -0.093 -0.253
H -7.443 0.383 -5.047
C -2.310 0.773 -1.525
H -18.271 4.973 -2.855
C -10.840 3.344 -3.729
H -10.866 7.806 -6.025
C -11.977 3.563 -4.682
O -6.641 4.522 -3.913
O -6.859 -1.833 2.960
O -5.988 -1.524 -2.315
C -8.603 5.605 -5.010
O -9.011 6.566 -4.300
H -3.528 -2.496 -4.483
O -15.088 8.312 0.587
H -4.727 2.845 -2.851
O -3.821 0.251 -3.484
Nd -9.162 7.031 -1.994
O -13.560 5.352 -3.912
O -10.038 4.923 -6.966
C -5.324 -3.747 2.435
H -10.211 -5.244 -0.261
C -5.709 -1.134 -1.148
O -12.269 3.135 -5.836
O -7.856 -3.547 0.277
O -9.909 2.554 -3.610
O -11.074 11.631 -3.224
O -14.220 1.383 -3.249
C -11.655 0.838 -1.204
O -3.652 -2.239 -0.144
C -6.967 -3.627 1.103
C -6.493 -2.816 2.349
O -1.542 -1.922 -3.319
C -12.746 1.847 -1.178
O -4.480 0.531 1.439
C -12.516 4.626 -3.848
C -2.821 0.135 -2.721
Nd -9.051 1.403 1.017
C -5.786 -4.507 1.301
H -14.049 3.003 2.282
H -15.275 7.160 -5.948
Nd -15.891 5.363 -3.898
C -11.319 4.580 -3.010
H -11.044 8.967 -1.917
H -9.687 9.491 -3.207
H -12.359 7.080 0.663
C -12.141 0.246 -2.424
H -11.517 8.415 -2.142
C -7.925 3.900 -6.057
C -13.298 1.193 -2.482
O -7.587 2.883 -6.638
H -8.021 3.792 -0.002
O -13.021 2.804 -0.478
Nd -5.328 -1.220 -4.544
H -9.845 -1.902 -0.865
H -5.847 1.249 -5.744
H -7.391 5.715 -2.003
```

Entry from the Materials Project: BaSrI4 after structural relaxation (GGA-PBE).

Cell and atoms, written as extended XYZ:
```
24
Lattice="10.269 0.000 0.000 0.000 11.217 0.000 0.000 0.000 11.218" Properties=species:S:1:pos:R:3 pbc="T T T"
Sr 5.241 8.309 2.805
I 7.504 0.683 8.414
I 7.899 6.291 2.805
I 0.154 8.622 10.717
I 10.115 2.595 0.502
I 2.560 0.677 8.414
Ba 7.863 8.424 8.414
I 2.574 6.285 2.805
I 4.981 3.013 5.108
Ba 2.729 8.401 8.414
I 5.288 8.204 6.111
I 2.369 4.926 8.414
Ba 2.406 2.793 2.805
Sr 0.107 8.517 2.805
I 0.154 8.622 6.111
I 4.981 3.013 0.502
I 10.115 2.595 5.108
I 7.694 4.932 8.414
Sr 5.028 2.908 8.414
I 5.288 8.204 10.717
I 7.709 10.540 2.805
Ba 7.540 2.816 2.805
Sr 10.162 2.700 8.414
I 2.765 10.535 2.805
```

Entry from the Materials Project: HfMo4 after structural relaxation (GGA-PBE).

Cell and atoms, written as extended XYZ:
```
5
Lattice="-2.119 1.872 0.115 2.272 0.990 1.365 3.575 3.286 -10.239" Properties=species:S:1:pos:R:3 pbc="T T T"
+++

Wanted
Next, copy all of the notes above verbatim.

Here it is
Entry from the Materials Project: Ti3Nb after structural relaxation (GGA-PBE).

Cell and atoms, written as extended XYZ:
```
8
Lattice="-5.787 -0.750 0.030 3.364 -3.109 3.616 -0.426 3.419 3.336" Properties=species:S:1:pos:R:3 pbc="T T T"
Ti -1.168 -2.240 3.870
Ti -2.899 -0.140 4.944
Ti 0.050 -0.301 2.038
Nb -0.006 0.242 4.923
Nb -2.843 -0.682 2.059
Ti -1.681 1.800 3.112
Ti -4.589 1.423 3.127
Ti 1.740 -1.863 3.855
```

Entry from the Materials Project: Mg14VGa after structural relaxation (GGA-PBE).

Cell and atoms, written as extended XYZ:
```
16
Lattice="6.271 0.000 0.000 -3.136 5.431 0.000 0.000 0.000 10.293" Properties=species:S:1:pos:R:3 pbc="T T T"
Mg 0.000 3.588 9.013
Mg 0.000 3.588 3.853
Mg 1.539 0.922 3.853
Mg 1.572 4.524 6.433
Mg 3.136 1.815 6.433
Mg 3.136 1.803 1.287
Mg 1.562 4.529 1.287
Mg -1.562 4.529 1.287
Mg -1.572 4.524 6.433
Mg 1.539 0.922 9.013
Ga 0.000 1.810 6.433
Mg 3.136 3.621 9.004
Mg 4.732 0.922 9.013
Mg 3.136 3.621 3.861
V 0.000 1.810 1.287
Mg 4.732 0.922 3.853
```

Entry from the Materials Project: Nd2H13C12O12 after structural relaxation (GGA-PBE).

Cell and atoms, written as extended XYZ:
```
78
Lattice="-2.436 -3.478 -6.052 -7.070 -4.881 5.651 -10.770 12.074 -2.604" Properties=species:S:1:pos:R:3 pbc="T T T"
O -16.136 6.577 -1.959
O -10.788 5.349 -2.162
O -7.216 0.685 -0.227
H -7.521 0.395 -4.291
H -9.279 -2.248 -3.762
C -7.474 4.668 -4.794
C -1.198 -0.219 -1.418
O -10.665 0.662 -0.445
H -10.523 3.293 0.523
O -11.756 -0.657 -3.213
H -15.771 3.426 -3.054
H -4.588 -4.471 -2.736
C -9.046 4.880 -6.184
C -4.563 -1.418 -0.210
C -5.006 -0.210 0.559
H -6.592 -4.820 -1.788
H -11.356 1.120 2.247
H -8.812 -0.363 2.157
C -1.763 -0.904 -2.683
H -8.551 3.597 -0.505
O -2.678 1.706 -0.758
H -14.472 5.218 -0.284
C -6.207 -0.093 -0.253
H -7.443 0.383 -5.047
C -2.310 0.773 -1.525
H -18.271 4.973 -2.855
C -10.840 3.344 -3.729
H -10.866 7.806 -6.025
C -11.977 3.563 -4.682
O -6.641 4.522 -3.913
O -6.859 -1.833 2.960
O -5.988 -1.524 -2.315
C -8.603 5.605 -5.010
O -9.011 6.566 -4.300
H -3.528 -2.496 -4.483
O -15.088 8.312 0.587
H -4.727 2.845 -2.851
O -3.821 0.251 -3.484
Nd -9.162 7.031 -1.994
O -13.560 5.352 -3.912
O -10.038 4.923 -6.966
C -5.324 -3.747 2.435
H -10.211 -5.244 -0.261
C -5.709 -1.134 -1.148
O -12.269 3.135 -5.836
O -7.856 -3.547 0.277
O -9.909 2.554 -3.610
O -11.074 11.631 -3.224
O -14.220 1.383 -3.249
C -11.655 0.838 -1.204
O -3.652 -2.239 -0.144
C -6.967 -3.627 1.103
C -6.493 -2.816 2.349
O -1.542 -1.922 -3.319
C -12.746 1.847 -1.178
O -4.480 0.531 1.439
C -12.516 4.626 -3.848
C -2.821 0.135 -2.721
Nd -9.051 1.403 1.017
C -5.786 -4.507 1.301
H -14.049 3.003 2.282
H -15.275 7.160 -5.948
Nd -15.891 5.363 -3.898
C -11.319 4.580 -3.010
H -11.044 8.967 -1.917
H -9.687 9.491 -3.207
H -12.359 7.080 0.663
C -12.141 0.246 -2.424
H -11.517 8.415 -2.142
C -7.925 3.900 -6.057
C -13.298 1.193 -2.482
O -7.587 2.883 -6.638
H -8.021 3.792 -0.002
O -13.021 2.804 -0.478
Nd -5.328 -1.220 -4.544
H -9.845 -1.902 -0.865
H -5.847 1.249 -5.744
H -7.391 5.715 -2.003
```

Entry from the Materials Project: BaSrI4 after structural relaxation (GGA-PBE).

Cell and atoms, written as extended XYZ:
```
24
Lattice="10.269 0.000 0.000 0.000 11.217 0.000 0.000 0.000 11.218" Properties=species:S:1:pos:R:3 pbc="T T T"
Sr 5.241 8.309 2.805
I 7.504 0.683 8.414
I 7.899 6.291 2.805
I 0.154 8.622 10.717
I 10.115 2.595 0.502
I 2.560 0.677 8.414
Ba 7.863 8.424 8.414
I 2.574 6.285 2.805
I 4.981 3.013 5.108
Ba 2.729 8.401 8.414
I 5.288 8.204 6.111
I 2.369 4.926 8.414
Ba 2.406 2.793 2.805
Sr 0.107 8.517 2.805
I 0.154 8.622 6.111
I 4.981 3.013 0.502
I 10.115 2.595 5.108
I 7.694 4.932 8.414
Sr 5.028 2.908 8.414
I 5.288 8.204 10.717
I 7.709 10.540 2.805
Ba 7.540 2.816 2.805
Sr 10.162 2.700 8.414
I 2.765 10.535 2.805
```

Entry from the Materials Project: HfMo4 after structural relaxation (GGA-PBE).

Cell and atoms, written as extended XYZ:
```
5
Lattice="-2.119 1.872 0.115 2.272 0.990 1.365 3.575 3.286 -10.239" Properties=species:S:1:pos:R:3 pbc="T T T"